Jay's half Native American father is in the navy during World War II, but his ship has been sunk, and all the crew listed as Missing In Action. He and his mother move from Salt Lake City to a small town to be with his grandparents, and he falls in with a group of boys who play baseball. Jay is not quite comfortable with them, because they refer to him as "chief" and he feels that they think less of him because of his father's heritage. When Jay has to work on his grandfather's farm with Ken, who is interned at the Topaz Japanese relocation center, he learns the importance of judging people by who they are and what they do, and not by their ethnicity. While not as front lines as Search and Destroy or Soldier Boys, this is an excellent that made even my most action-hungry WWII reader happy, and there were some moments that just sent chills down my spine. I loved how Hughes made the Japanese relocation movement seem very personal.

Katya (formerly Kaitlyn) decides not to go back to public middle school after a summer of nature study, in part because she doesn't want to face her former boyfriend, but also because she's tired of sitting in classrooms and being dictated to. She approaches her parents about homeschooling, and they agree, even though it will be difficult for them. Homeschooling is not what Katya wants-- her mother hunts down a curriculum, has Katya spending time in her hair salon in order to free up time for her to work with Katya, and puts a damper on the idea that homeschooling means NO schooling. I loved that the parents, neither of whom went to college, worked so hard to comply with the homeschooling requirements and made personal sacrifices so that Katya could be happy with her learning experience, but Katya was such a complete brat that I wanted to slap her. I got this copy at a Book Look, and it's gone out a couple of times. I just wish that at the end, Katya was a nicer person.

**Crystal structures, kept here for reference:**
<<<
# Li2V2P3O12
Simulated PXRD pattern, Cu Kα. Input: a crystal structure in Alexandria, relaxed with GGA+U.
No peak broadening, texture or thermal motion is included.

Largest 10 diffraction maxima, low angle first, 2θ from 5° to 70°:
h k l, d (Å), I/Imax
1 0 1, 6.169, 49
1 0 -1, 4.347, 81
2 1 1, 4.320, 37
-1 1 1, 3.730, 69
1 2 2, 3.702, 32
1 2 0, 3.687, 100
2 0 2, 3.085, 59
2 2 0, 3.044, 19
-1 1 2, 2.759, 17
2 1 3, 2.749, 17

Crystal structure
Unit cell a=8.6300 b=8.6512 c=8.6856 alpha=60.22 beta=60.29 gamma=60.96
Space group P-1 (No. 2)
Asymmetric unit:
Li1 0.1718 0.3126 0.0603
Li2 0.2786 0.1703 0.5730
V1 0.1375 0.6338 0.5776
V2 0.3668 0.8599 0.9252
P1 0.0309 0.9687 0.7513
P2 0.2587 0.4575 0.2504
P3 0.4560 0.2518 0.7563
O1 0.0259 0.1479 0.5768
O2 0.0357 0.7960 0.7373
O3 0.0980 0.4514 0.2239
O4 0.1479 0.9983 0.0756
O5 0.2020 0.4580 0.4494
O6 0.2137 0.9283 0.7775
O7 0.2709 0.4196 0.7618
O8 0.3233 0.6241 0.0918
O9 0.3687 0.7095 0.4023
O10 0.4218 0.2663 0.2496
O11 0.4242 0.0957 0.7418
O12 0.4627 0.1868 0.9574

----------

# 1
For Nd4P3H, DFT lattice parameters and positions (PBE) gives the theoretical powder diffraction line list in this record (Cu Ka).
Intensities are scaled so that the largest is 100.

Top 10 peaks for 2θ from 10° to 90°, by intensity:
2theta	I/Imax
26.6	100
30.8	68
44.3	49
31.0	33
52.3	32
54.9	26
44.1	25
72.9	16
52.6	16
71.0	13

Atomic structure:
abc: 4.113 11.526 8.211
angles: 90.00 90.00 90.00
Space group Amm2 (No. 38)
Asymmetric unit:
Nd 0.000 0.000 0.000 [2 per cell]
Nd 0.000 0.000 0.483 [2 per cell]
Nd 0.500 0.249 0.241 [4 per cell]
P 0.000 0.250 0.491 [4 per cell]
P 0.500 0.000 0.241 [2 per cell]
H 0.500 0.000 0.740 [2 per cell]



# 2
For Nd4Sm2H2Pb3, DFT lattice parameters and positions (PBE) gives the theoretical powder diffraction line list in this record (Cu Ka).
Intensities are scaled so that the largest is 100.

Top 10 peaks for 2θ from 10° to 90°, by intensity:
2theta	I/Imax
33.4	100
37.3	52
27.0	35
64.8	30
18.7	21
29.6	20
53.8	18
30.2	18
51.6	14
27.2	12

Atomic structure:
abc: 4.818 4.818 26.183
angles: 90.00 90.00 90.00
Space group I4/mmm (No. 139)
Asymmetric unit:
Nd 0.000 0.500 0.084 [8 per cell]
Sm 0.000 0.000 0.199 [4 per cell]
H 0.000 0.000 0.106 [4 per cell]
Pb 0.000 0.000 0.323 [4 per cell]
Pb 0.000 0.000 0.500 [2 per cell]



# 3
For NdH4Pd5, DFT lattice parameters and positions (PBE) gives the theoretical powder diffraction line list in this record (Cu Ka).
Intensities are scaled so that the largest is 100.

Top 10 peaks for 2θ from 10° to 90°, by intensity:
2theta	I/Imax
36.9	100
37.3	97
37.4	88
53.8	34
67.0	30
75.7	24
66.7	20
67.3	14
53.4	14
75.9	12

Atomic structure:
abc: 5.871 8.456 4.821
angles: 90.00 90.00 90.00
Space group Pmmn (No. 59, origin choice 2)
Asymmetric unit:
Nd 0.250 0.250 0.229 [2 per cell]
H 0.068 0.750 0.445 [4 per cell]
H 0.250 0.531 0.896 [4 per cell]
Pd 0.003 0.579 0.246 [8 per cell]
Pd 0.250 0.750 0.766 [2 per cell]



Which formula does entry 2 have? Nd4Sm2H2Pb3

----------

1.
>>>
Caitlin, who has Aspberger's syndrome, is reeling from the death of her brother in a school shooting, and having trouble dealing with her father, who is also suffering greatly. She decides that she needs closure so that she no longer feels so bad, but isn't quite sure how to obtain it. Caitlin's perspective is very apparent in the book, and we get many glimpses of her chewing on her shirt sleeve, trying to put emotions with facial expressions, etc. This was a sad book, and I am not quite sure what readers would like this. Baskin's Anything But Typical and Dowd's The London Eye Mystery deal with Asperger's with a little more humor and understanding, and are better choices for both students who want to see themselves reflected in the literature and for students who are trying to understand classmates who face this challenge.
Hmmm, I really liked Katya, but I can see where her attitude is annoying at some points. This is a pretty popular book at my library, and apart from the characters, I like it b/c it's one of the few books that have a sympathetic (and mostly realistic) view of alternative schooling.